/*
BiPO4 | the Materials Project | PBE | relaxed; calculated formation energy = -2.41 eV/atom; total energy = -81.64 eV for the cell shown; crystal system = orthorhombic
1.0
3.5322 -3.2235 0.0000
3.5322 3.2235 0.0000
0.0000 0.0000 7.2672
Bi P O
2 2 8
Direct
0.1330 0.8670 0.7500 Bi
0.8670 0.1330 0.2500 Bi
0.3406 0.6594 0.2500 P
0.6594 0.3406 0.7500 P
0.1869 0.8131 0.0829 O
0.1869 0.8131 0.4171 O
0.3080 0.3410 0.2500 O
0.3410 0.3080 0.7500 O
0.6590 0.6920 0.2500 O
0.6920 0.6590 0.7500 O
0.8131 0.1869 0.5829 O
0.8131 0.1869 0.9171 O
*/

Repeat every line further up that contains the word "system".

BiPO4 | the Materials Project | PBE | relaxed; calculated formation energy = -2.41 eV/atom; total energy = -81.64 eV for the cell shown; crystal system = orthorhombic